• Excerpt:
-- begin --
Diffraction record for CoTeMoO6. The powder XRD pattern is theoretical, not measured: it uses DFT lattice parameters and positions (GGA+U) and copper Kα.
Neutral-atom scattering factors, no anomalous dispersion.

The 6 most intense peaks (10 to 80 degrees two-theta), most intense first:
2theta, intensity, (hkl)
31.03, 100, 1 1 2
24.11, 40, 1 1 0
26.01, 36, 1 0 2
49.39, 27, 2 2 0
19.24, 26, 0 0 2
33.60, 18, 0 2 0

Structural model:
```
data_CoTeMoO6
_symmetry_space_group_name_H-M 'P 21 21 2'
_symmetry_Int_Tables_number 18
_cell_length_a 5.1107
_cell_length_b 5.3367
_cell_length_c 9.2241
_cell_angle_alpha 90.00
_cell_angle_beta 90.00
_cell_angle_gamma 90.00
loop_
_symmetry_equiv_pos_as_xyz
'x,y,z'
'-x,-y,z'
'x+1/2,-y+1/2,-z'
'-x+1/2,y+1/2,-z'
loop_
_atom_site_label
_atom_site_fract_x
_atom_site_fract_y
_atom_site_fract_z
Co1 0.0000 0.0000 0.0275
Te1 0.0000 0.5000 0.2387
Mo1 0.0000 0.5000 0.6991
O1 0.1563 0.2881 0.5852
O2 0.2204 0.6772 0.1035
O3 0.2384 0.1815 0.2002
```

* * * * *

# Li4Mn3OF11
Theoretical powder X-ray diffraction pattern, Cu Kα (λ = 1.5418 Å). Input: a DFT-relaxed cell (PBE+U, Alexandria).
Neutral-atom scattering factors, no anomalous dispersion.

Largest 10 diffraction maxima, in order of rising 2θ, 2θ from 10° to 80°:
15.4 deg, d 5.753, I 100
18.3 deg, d 4.859, I 36
24.4 deg, d 3.650, I 39
27.7 deg, d 3.223, I 44
28.8 deg, d 3.097, I 42
30.1 deg, d 2.968, I 41
30.9 deg, d 2.895, I 32
36.9 deg, d 2.437, I 18
41.3 deg, d 2.187, I 17
56.2 deg, d 1.637, I 16

Structural model:
```
data_Li4Mn3OF11
_chemical_formula_sum 'Li4 Mn3 O1 F11'
_symmetry_space_group_name_H-M 'P 1'
_symmetry_Int_Tables_number 1
_cell_length_a 6.0495
_cell_length_b 6.3352
_cell_length_c 6.6989
_cell_angle_alpha 106.89
_cell_angle_beta 101.63
_cell_angle_gamma 103.70
loop_
_symmetry_equiv_pos_as_xyz
'x,y,z'
loop_
_atom_site_label
_atom_site_type_symbol
_atom_site_fract_x
_atom_site_fract_y
_atom_site_fract_z
Li1 Li 0.0000 0.0000 0.0000
Li2 Li 0.1794 0.1627 0.4851
Li3 Li 0.4877 0.7074 0.7787
Li4 Li 0.6925 0.7649 0.3781
Mn1 Mn 0.1275 0.5681 0.2350
Mn2 Mn 0.5793 0.2834 0.9862
Mn3 Mn 0.8418 0.4059 0.6492
O1 O 0.8896 0.4100 0.9688
F1 F 0.0788 0.8563 0.2424
F2 F 0.1656 0.5088 0.6834
F3 F 0.1718 0.2887 0.2541
F4 F 0.2562 0.0990 0.8780
F5 F 0.4110 0.7388 0.4738
F6 F 0.5017 0.5719 0.0598
F7 F 0.5160 0.2839 0.6318
F8 F 0.6582 0.0118 0.9908
F9 F 0.7959 0.4792 0.3476
F10 F 0.8148 0.7098 0.7480
F11 F 0.8531 0.1009 0.5138
```
-- stop --
• Activity:
Search the calculation results above for the word "F7" and duplicate each line that has it.
• Here it is:
F7 F 0.5160 0.2839 0.6318